We Austrian economists are used to having terms corrupted, misused and redefined by statists and others who love and advocate strong central control of money and power. The term “inflation” is a prime example. We Austrians refer to “inflation” as creating new fiat money–as in inflation of the money supply. This is in sharp contrast to what we commonly hear in the mainstream media and from all Keynesian influenced economists, who use the term to describe a general increase in prices. Now nearly everyone thinks of inflation in this sense, so much so that we Austrians must always be careful to say “inflation of the money supply” whenever we use the term “inflation”.
Those of us of a libertarian political persuasion, which includes many (but not all) Austrian economists, likewise bristle at how modern statists have hijacked and corrupted the term “liberal”. Liberal is a term that is derived from the word “liberty”. Ludwig von Mises even penned a book titled “Liberalism“. Naturally, it contains not one reference to what today’s so-called liberals advocate; i.e., erosion of property rights and statist intervention in almost all aspects of life.
However, now we Austrian economists are faced with a term that is new. It is NOT a term that has had a prior meaning and has been corrupted and re-defined.. It is a new, made up and wholly fabricated term– “Negative Interest Rate”.
Interest is founded on time preference
The rate of interest is founded on an innate trait of the human condition. All other things being equal, humans desire goods and services earlier rather than later. Austrian economists refer to this human trait as “time preference”. Those who desire things sooner rather than later are said to have a high time preference. Likewise, those who desire things later rather than sooner are said to have a low time preference.
No two people have the same time preference. In fact, time preference changes within the same individual constantly. So someone with a higher time preference, but without the resources to own the good in the present, may be willing to pay others a higher overall price in the future for access to the good today; they may be willing to pay extra to use someone else’s money in order to have it today. This “extra” is the interest rate that “someone else” will charge the person in order to allow the purchase to happen today.
Here you see a basic principle. There are TWO prices for something, a “have it now but can’t afford it now price” and a “I’ll save up to have it later price”. The “have it now but can’t afford it now price” means that the buyer must borrow–or we could call it “rent”–the money in order to buy it now. We call that “renting of money” interest.
The difference in price is the interest rate for that transaction at that place and time. One sees that there really is no single “interest rate”. Like any market, what appears to be a price of a good–money, in the most common example–is constantly in flux due to the fact that it is derived from a human trait, time preference, that itself is constantly in flux.
Stop abusing our language and insulting everyone’s intelligence
What the mainstream media and the public call a “negative interest rate” is an abuse of language. Time preference can never be negative, because that would require a total change in human nature. People will always want something sooner rather than later. It is HARD to save and delay consumption. People have to be disciplined to save and delay gratification. The idea of a “negative interest rate” is an attempt to turn reality on its head. It is another tactic in the Keynesian attempt to refute Say’s Law; i.e., that production must precede consumption and that what one produces becomes the means by which he consumes. One can neither consume nor sell something that was never produced, which is the absurdity that is implied by a negative interest rate.
It is human nature that no one is willing to give up control of what he possesses now and accept less in the future. Since time preference can never be negative, the interest rate can never be negative. What is called a negative interest rate is merely a deposit charge that is difficult to avoid. Central banks throughout the world are exploiting their ability to charge for reserves held by their bank customers. By calling its charge a negative interest rate, central banks are trying to create the impression that what they are doing is a natural market phenomenon. It is no such thing. Because the central bank has a monopoly on the kind of money that may be used–its own!–and the quantity of money that people and businesses may use within a currency zone, it has the temporary power to force its member bank customers, and by extension its member banks’ own customers, a fee for holding that which they cannot conveniently house anywhere else at the present time. This is nothing more than monetary repression, the purpose of which is to force the banks and their customers to loan, loan, loan, and spend, spend, spend respectively in order to re-inflate moribund economies.
The charade of central banking can come to an end. An important first step for all of us is to stop accepting the central controllers’ corrupt definitions of terms that we use to describe reality. Economics is not an opinion; it is a science of reality. Definitions matter.
Attached: calculated crystals:
'''
{
  "formula": "Ho2ZnOs",
  "functional": "GGA-PBE",
  "state": "relaxed",
  "total_magnetization_mub_per_cell": 0.00,
  "delta_e_f_ev_per_atom": -0.31,
  "lattice": [[-0.2096, -3.7472, 3.1289], [0.9183, 0.7243, 4.7442], [-3.6312, -0.2614, 3.2590]],
  "species": ["Ho", "Ho", "Zn", "Os"],
  "fractional_positions": [[0.7500, 0.7500, 0.7500], [0.2500, 0.2500, 0.2500], [0.0000, 0.0000, 0.0000], [0.5000, 0.5000, 0.5000]]
}

***

{
  "formula": "HoZrOs2",
  "functional": "GGA-PBE",
  "state": "relaxed",
  "total_magnetization_mub_per_cell": 0.00,
  "delta_e_f_ev_per_atom": -0.31,
  "lattice": [[0.0000, 3.3392, 3.3392], [3.3392, 0.0000, 3.3392], [3.3392, 3.3392, 0.0000]],
  "species": ["Os", "Ho", "Os", "Zr"],
  "fractional_positions": [[0.2500, 0.2500, 0.2500], [0.0000, 0.0000, 0.0000], [0.7500, 0.7500, 0.7500], [0.5000, 0.5000, 0.5000]]
}

***

{
  "formula": "Ho3P",
  "functional": "GGA-PBE",
  "state": "relaxed",
  "total_magnetization_mub_per_cell": 0.00,
  "delta_e_f_ev_per_atom": -0.32,
  "lattice": [[-2.1904, 2.1904, 5.0854], [2.1904, -2.1904, 5.0854], [2.1904, 2.1904, -5.0854]],
  "species": ["Ho", "Ho", "P", "Ho"],
  "fractional_positions": [[0.7500, 0.2500, 0.5000], [0.5000, 0.5000, 0.0000], [0.0000, 0.0000, 0.0000], [0.2500, 0.7500, 0.5000]]
}

***

{
  "formula": "HoP5",
  "functional": "GGA-PBE",
  "state": "relaxed",
  "delta_e_f_ev_per_atom": -0.53,
  "lattice": [[-5.5899, -5.6791, 4.9994], [-2.4123, -1.2576, -4.1257], [2.7846, -4.2342, -1.6963]],
  "species": ["P", "P", "Ho", "P", "Ho", "P", "P", "P", "P", "P", "P", "P"],
  "fractional_positions": [[0.2500, 0.7257, 0.8923], [0.5286, 0.7151, 0.4052], [0.2500, 0.9965, 0.3467], [0.5929, 0.6163, 0.0441], [0.7500, 0.0035, 0.6533], [0.9071, 0.6163, 0.0441], [0.4071, 0.3837, 0.9559], [0.0929, 0.3837, 0.9559], [0.7500, 0.2743, 0.1077], [0.4714, 0.2849, 0.5948], [0.9714, 0.7151, 0.4052], [0.0286, 0.2849, 0.5948]]
}

***

{
  "formula": "HoP",
  "functional": "GGA-PBE",
  "state": "relaxed",
  "total_magnetization_mub_per_cell": 0.00,
  "delta_e_f_ev_per_atom": -1.06,
  "lattice": [[-0.4862, -1.9305, 2.8216], [3.1227, 0.9094, 1.1602], [-1.3917, 2.7149, 1.6177]],
  "species": ["Ho", "P"],
  "fractional_positions": [[0.0000, 0.0000, 0.0000], [0.5000, 0.5000, 0.5000]]
}

***

{
  "formula": "HoP",
  "functional": "GGA-PBE",
  "state": "relaxed",
  "delta_e_f_ev_per_atom": -1.61,
  "lattice": [[0.0000, 2.8202, 2.8202], [2.8202, 0.0000, 2.8202], [2.8202, 2.8202, 0.0000]],
  "species": ["Ho", "P"],
  "fractional_positions": [[0.0000, 0.0000, 0.0000], [0.5000, 0.5000, 0.5000]]
}

***

{
  "formula": "HoP2Ru2",
  "functional": "GGA-PBE",
  "state": "relaxed",
  "delta_e_f_ev_per_atom": -1.03,
  "lattice": [[-2.0267, 2.0267, 4.7690], [2.0267, -2.0267, 4.7690], [2.0267, 2.0267, -4.7690]],
  "species": ["P", "Ru", "Ho", "Ru", "P"],
  "fractional_positions": [[0.6245, 0.6245, 0.0000], [0.7500, 0.2500, 0.5000], [0.0000, 0.0000, 0.0000], [0.2500, 0.7500, 0.5000], [0.3755, 0.3755, 0.0000]]
}

***

{
'''
Patrick Barron